NBC 7’s Derek Togerson offers a reason the Chargers want to stay in San Diego in this commentary
Chargers CEO Dean Spanos has spent an awful lot of time in the Los Angeles area lately. He recently met with the L.A. mayor and has made several appearances on L.A. media outlets. Meanwhile … crickets in San Diego.
I believe this is what frustrates Chargers fans the most. I talk to the fan base. They talk to me. On social media, in person, on the phone, the one question that I hear the most from fans is not … Are the Chargers staying?
It’s … Why won’t Dean talk to us?
Bolts fans are scared. They don’t know what to believe. All they hear from the team they love comes from the mouth of Chargers Special Counsel Mark Fabiani (which, in the opinion of most Bolts fans, is like hiring a Press Secretary named Judas).
I don’t know exactly why Dean is letting his spokesperson do all the talking. But I can make a fairly educated guess.
One reason is sharing his thoughts with the fan base, or really anywhere in public, is a bad business decision. Spanos needs to keep everyone guessing because he needs leverage in multiple places. The more theories and opportunities and scenarios that are out there the better. It seeds uncertainty, which blossoms in to fear, and fear is one heck of a motivator. The second his true desire is revealed, the ability to play one city off the other disappears.
But even more than that is this: Dean Spanos does not like talking in public. He’ll do it, and do it well, when the occasion calls for it. Dean always makes himself available when there’s a coaching or front office change to answer questions about why the decision was made. In those situations he has time to prepare. He has talking points. He has the ability to, at least in some small way, control the narrative. Opening up to a flurry of random questions from fans is an unknown quantity he is simply not comfortable with.
/*
(i)
A plane-wave DFT calculation with PBE-GGA was carried out for a relaxed structure of CsKCd.

Cell and atoms, written as CIF:
```
data_CsKCd
_symmetry_space_group_name_H-M 'I 4 m m'
_symmetry_Int_Tables_number 107
_symmetry_space_group_name_Hall 'I 4 -2'
_cell_length_a 4.6829
_cell_length_b 4.6829
_cell_length_c 15.9774
_cell_angle_alpha 90.00
_cell_angle_beta 90.00
_cell_angle_gamma 90.00
loop_
_atom_site_label
_atom_site_type_symbol
_atom_site_fract_x
_atom_site_fract_y
_atom_site_fract_z
Cs1 Cs 0.0000 0.0000 0.0000
K1 K 0.0000 0.0000 0.2689
Cd1 Cd 0.0000 0.0000 0.6517
```

Output
N(E_F): 2.3 states/eV/f.u.
Theoretical density: 2.7 g/cm³

(ii)
A plane-wave DFT calculation with PBE-GGA was carried out for a relaxed structure of CsKCd.

Cell and atoms, written as CIF:
```
data_CsKCd
_symmetry_space_group_name_H-M 'P 3 m 1'
_symmetry_Int_Tables_number 156
_symmetry_space_group_name_Hall 'P 3 -2"'
_cell_length_a 6.2992
_cell_length_b 6.2992
_cell_length_c 5.2428
_cell_angle_alpha 90.00
_cell_angle_beta 90.00
_cell_angle_gamma 120.00
loop_
_atom_site_label
_atom_site_type_symbol
_atom_site_fract_x
_atom_site_fract_y
_atom_site_fract_z
Cs1 Cs 0.0000 0.0000 0.0000
K1 K 0.3333 0.6667 0.4770
Cd1 Cd 0.6667 0.3333 0.5680
```

Output
N(E_F): 2.1 states/eV/f.u.
Theoretical density: 2.6 g/cm³

So which one is most stable? That would be (i), about 3.8 kJ/mol of atoms below the next structure.
*/
Dean is not Jerry Jones. He’s not Robert Kraft. Those are guys who you can walk right up, say hi, turn on the camera and start rapping about this, that and whatnot. So, Chargers fans, I hate to break this to you, but if you’re waiting for Dean Spanos to take to the airwaves and let you in on his thought process or what he really wants for the future of his franchise, you’ll have coffee with Godot first.
But, if you look at the man’s history and habits, you can get a pretty good sense of what he’d like to do. I believe, in my heart of hearts, that Dean Spanos wants to stay. He wants to keep the Chargers in San Diego. He has it really, really good here, and he knows is.
From my observations we’re talking about a creature of habit. Dean Spanos likes to drive the same cars, frequent the same restaurants, dress the same way, for long periods of time. There is comfort in routine.
Can you imagine anything that would mess up your routine more than moving an NFL franchise to a different city?
Sure, the Spanos family would make a lot more money if the team moved to Los Angeles. But that would only be if they sold the franchise. The luxury boxes and PSL sales and all that fancy stuff will increase revenue, for sure. But the team still needs to build a practice facility in L.A. and those are not cheap. The Cowboys just built one for about $115 million and that’s in Texas, where everything is bigger (and cheaper). So the only real increase in wealth comes with the team’s increase in value, which is really only realized when a team is sold.
The Chargers ARE the Spanos family business. Forbes has their family’s net worth is listed at $1.26 billion. The Chargers are listed at $995 million, meaning 79% of the family’s worth is the team. The family does not want to sell the team. It’s part of their identity. Even the big bucks of L.A. can’t change that.
Plus, getting a new facility in San Diego will increase the team’s value anyway. Not as much as a move north but it’ll get them in to the NFL’s top 20. If they’re able to win a Super Bowl, we’re talking maybe even the top half. Driving to a new facility and walking past the Lombardi Trophy every day?
Now that’s something Dean would not mind changing his routine for.